If the title of CEO Donald F. White’s new book isn’t indicative of what to expect within its pages, it’s hard to know what is. Always End with the Beginning in Mind: How Firms Remain Great After the Founder Exits brilliantly articulates, akin to a thesis statement or log line, the entirety of what White has developed as an elaborate, all-encompassing philosophy to approaching leadership roles within the corporate stratosphere. But don’t be fooled by the purposefully long title, the book is a breeze of a read in the best possible sense. White truly isn’t interested in flaunting any high-handedness or sense of specific, exclusionary terminology for a specific sort of audience. The only thing you will find peppered throughout the book is evocative, Biblical examples – interestingly enough proving to be a surprisingly apt translator for otherwise generalized and wide-ranging concepts best suited for selective audiences specializing in said fields.

ABOUT THE AUTHOR: https://www.donaldfwhite.com/

Here the text breaks off for materials data >
No. 1
Computed, not measured: a relaxed structure of Pr5Ru2Au2 at the PBE-GGA level of DFT.

Results
Its space group is Cmce, No. 64. The calculation puts the total energy at -5.8755 eV per atom.

Cell: 8.6862 8.6862 7.8726 Å, 90.00 90.00 54.01°
Closest atoms and distances in Å follow each position.
Fractional positions:
Pr 0.0000 0.0000 0.0000  4 Ru 3.07-3.08, 2 Au 3.23
Pr 0.0433 0.7028 0.6674  3 Ru 2.95-3.11, 3 Au 3.17-3.20
Pr 0.2028 0.5433 0.1674  3 Ru 2.95-3.11, 3 Au 3.17-3.20
Pr 0.2972 0.9567 0.6674  3 Ru 2.95-3.11, 3 Au 3.17-3.20
Pr 0.4567 0.7972 0.1674  3 Ru 2.95-3.11, 3 Au 3.17-3.20
Pr 0.5000 0.5000 0.5000  4 Ru 3.07-3.08, 2 Au 3.23
Pr 0.5433 0.2028 0.8326  3 Ru 2.95-3.11, 3 Au 3.17-3.20
Pr 0.7028 0.0433 0.3326  3 Ru 2.95-3.11, 3 Au 3.17-3.20
Pr 0.7972 0.4567 0.8326  3 Ru 2.95-3.11, 3 Au 3.17-3.20
Pr 0.9567 0.2972 0.3326  3 Ru 2.95-3.11, 3 Au 3.17-3.20
Ru 0.1336 0.8664 0.3673  8 Pr 2.95-3.11, 1 Ru 2.97
Ru 0.3664 0.6336 0.8673  8 Pr 2.95-3.11, 1 Ru 2.97
Ru 0.6336 0.3664 0.1327  8 Pr 2.95-3.11, 1 Ru 2.97
Ru 0.8664 0.1336 0.6327  8 Pr 2.95-3.11, 1 Ru 2.97
Au 0.2084 0.2084 0.0000  7 Pr 3.17-3.23
Au 0.2916 0.2916 0.5000  7 Pr 3.17-3.23
Au 0.7084 0.7084 0.5000  7 Pr 3.17-3.23
Au 0.7916 0.7916 0.0000  7 Pr 3.17-3.23


No. 2
Computed, not measured: a relaxed structure of Ba2AlCuF at the PBE-GGA level of DFT.

Results
For the raw formation energy, the calculation gives -37.4 kJ/mol of atoms. Its space group is P4/mmm, No. 123. The calculation puts the total energy at -3.0990 eV per atom.

Cell: 6.3471 6.3471 3.9921 Å, 90.00 90.00 90.00°
Closest atoms and distances in Å follow each position.
Fractional positions:
Ba 0.0000 0.5000 0.0000  2 Cu 3.17
Ba 0.5000 0.0000 0.0000  2 Cu 3.17
Al 0.0000 0.0000 0.5000  8 Ba 3.75, 2 Al 3.99
Cu 0.5000 0.5000 0.0000  2 F 2.00
F 0.5000 0.5000 0.5000  2 Cu 2.00


No. 3
Computed, not measured: a relaxed structure of DyPdPtAu at the PBE-GGA level of DFT.

Results
Its space group is Pmmm, No. 47. The calculation puts the total energy at -5.6805 eV per atom. For the excess energy over the best structure of this formula in the dataset, the calculation gives 0 meV/atom.

Cell: 4.0061 4.2421 4.2696 Å, 90.00 90.00 90.00°
Closest atoms and distances in Å follow each position.
Fractional positions:
Dy 0.0000 0.0000 0.0000  4 Pd 2.92, 4 Pt 2.93, 4 Au 3.01
Pd 0.5000 0.5000 0.0000  4 Dy 2.92, 4 Au 2.93, 4 Pt 3.01
Pt 0.5000 0.0000 0.5000  4 Au 2.92, 4 Dy 2.93, 4 Pd 3.01
Au 0.0000 0.5000 0.5000  4 Pt 2.92, 4 Pd 2.93, 4 Dy 3.01


No. 4
Computed, not measured: a relaxed structure of ZnFeOs2 at the PBE-GGA level of DFT.

Results
Its space group is Pmmm, No. 47. The calculation puts the total energy at -7.6823 eV per atom.

Cell: 2.7925 4.3897 4.5421 Å, 90.00 90.00 90.00°
Closest atoms and distances in Å follow each position.
Fractional positions:
Zn 0.0000 0.0000 0.0000  4 Os 2.60, 4 Fe 2.67, 2 Zn 2.79
Fe 0.5000 0.0000 0.5000  4 Os 2.60, 4 Zn 2.67, 2 Fe 2.79
Os 0.0000 0.5000 0.5000  4 Fe 2.60, 6 Os 2.67-2.79
Back to the text >

White utilizes hands-on, highly personal scenarios concerning both himself and his colleagues to help illustrate his points and lift the read from typically dry, sanitary business advice guide into full-fledged inspirational non-fiction. While not purporting to be a natural born storyteller, this personal touch makes Always End with the Beginning in Mind feel accessible and even a tad paternal in the best sense. White speaks to the reader like he’d speak to a fellow Christian, not just through his extensive insertion of appropriate, Abrahamic analogical figures but also through his self-deprecating, humble descriptors about his own, shrewd business decisions. This proves to be the book’s secret sauce to appealing to a wide audience, after all seventy percent of the country identifies as Christian and Christian canonical and non-canonical nomenclature timelessly inspires and is referenced throughout various conduits in the present.

AMAZON: https://www.amazon.com/Always-End-Beginning-Mind-Founder/dp/1641463813

White also speaks in a colloquial manner about complex, corporate intrapsychic thought – particularly the value of knowing when to step down from one’s position at the head of the ship. Many of the examples he provides within the book’s chapters echo this philosophy regardless of the specifics. Fundamentally White isn’t as interested in painting an extensive portrait of the how-tos and whys many entrepreneurial figures can lose the reader in when publishing a memoir or entry in the non-fiction sub-genre of business advice. Rather he’s interested in making each of the stories and descriptors revolve around a single, central concept – humility. He’s not alone in stressing the post-modern relationship humility shares with the timeless, traditionally cold-cutting term we all call success.

 But unlike many others tackling the importance of this new form of leadership, White never falters in making sure the reader feels constantly reassured of its presence in every chapter. It’s an unusual sort of thematic coherence which makes you feel empowered and genuinely trusting of White, enough so you feel encouraged to follow his methodology and make good choices under his self-christened banner SWEAT (Sights, Work, Encouragement, Acceptance, Tenacity).

Cyrus Rhodes